### Assignment
Give back only the last part of the material further below, starting with the line that has "2.25".

### Material
<<<
1.
Material: Nd2PuNi
Method: DFT, PBE
State: optimized geometry

a b c (Å): 3.6304 3.6304 31.2901
angles (deg): 90.00 90.00 120.00
Closest atoms and distances in Å follow each position.
Space group R-3m (No. 166, hexagonal axes)
Symmetry-distinct sites (fractional):
1 Nd 0.0000 0.0000 0.1087 x6  3 Ni 2.77
2 Pu 0.0000 0.0000 0.0000 x3  2 Nd 3.40, 6 Pu 3.63
3 Ni 0.0000 0.0000 0.5000 x3  6 Nd 2.77

Results
offset from the most stable computed form	235.1	meV per atom
total magnetic moment	19.526	Bohr magnetons per cell
E_form	242	meV/atom
total energy	-7.170	eV/atom
V	29.76	Å³/atom
Fermi-level density of states	35.95	states/eV/cell

***

2.
Material: NdPuNi2
Method: DFT, PBE
State: optimized geometry

a b c (Å): 3.4283 3.4283 6.8167
angles (deg): 90.00 90.00 90.00
Closest atoms and distances in Å follow each position.
Space group P4/mmm (No. 123)
Symmetry-distinct sites (fractional):
1 Nd 0.0000 0.0000 0.0000 x1  8 Ni 3.06, 2 Pu 3.41
2 Pu 0.0000 0.0000 0.5000 x1  8 Ni 2.87
3 Ni 0.5000 0.5000 0.2741 x2  4 Pu 2.87, 4 Nd 3.06, 1 Ni 3.08

Results
total magnetic moment	5.523	Bohr magnetons per cell
E_form	-108	meV/atom
total energy	-7.774	eV/atom
V	20.03	Å³/atom
Fermi-level density of states	12.94	states/eV/cell

***

3.
Material: Nd2Pu2Ni15
Method: DFT, PBE
State: optimized geometry

a b c (Å): 8.5144 8.5144 12.6252
angles (deg): 90.00 90.00 120.00
Closest atoms and distances in Å follow each position.
Space group R-3m (No. 166, hexagonal axes)
Symmetry-distinct sites (fractional):
1 Nd 0.0000 0.0000 0.1470 x6  12 Ni 2.93-3.13
2 Pu 0.0000 0.0000 0.4108 x6  1 Pu 2.25
3 Ni 0.0000 0.3140 0.5000 x18  8 Ni 2.50-2.67
4 Ni 0.0000 0.5000 0.0000 x9  8 Ni 2.46-2.50, 2 Pu 2.65
5 Ni 0.0007 0.5004 0.6590 x18  8 Ni 2.46-2.58, 1 Pu 2.69

Results
total magnetic moment	9.317	Bohr magnetons per cell
E_form	-151	meV/atom
total energy	-6.726	eV/atom
V	13.91	Å³/atom
Fermi-level density of states	104.62	states/eV/cell

***

4.
Material: NdPuNi
Method: DFT, PBE
State: optimized geometry

a b c (Å): 4.9727 11.7477 4.9394
angles (deg): 90.00 90.00 90.00
Closest atoms and distances in Å follow each position.
Space group Amm2 (No. 38)
Symmetry-distinct sites (fractional):
1 Nd 0.0000 0.1393 0.0000 x4  4 Ni 2.95-2.98, 1 Nd 3.27
2 Pu 0.5000 0.1318 0.5055 x4  4 Ni 2.89-2.94, 1 Pu 3.10
3 Ni 0.0000 0.0000 0.4964 x2  4 Pu 2.93, 4 Nd 2.95-2.98
4 Ni 0.5000 0.0000 0.0112 x2  4 Pu 2.89-2.94, 4 Nd 2.98

Results
offset from the most stable computed form	0.0	meV per atom
total magnetic moment	24.258	Bohr magnetons per cell
E_form	-9	meV/atom
total energy	-8.303	eV/atom
V	24.05	Å³/atom
Fermi-level density of states	34.09	states/eV/cell

***

5.
Material: NdPuNi2
Method: DFT, PBE
State: optimized geometry

a b c (Å): 6.8548 6.8548 6.8548
angles (deg): 90.00 90.00 90.00
Closest atoms and distances in Å follow each position.
Space group Fm-3m (No. 225)
Symmetry-distinct sites (fractional):
1 Nd 0.0000 0.0000 0.0000 x4  8 Ni 2.97
2 Pu 0.0000 0.0000 0.5000 x4  8 Ni 2.97
3 Ni 0.2500 0.2500 0.2500 x8  4 Nd 2.97, 4 Pu 2.97

Results
total magnetic moment	22.307	Bohr magnetons per cell
E_form	-88	meV/atom
total energy	-7.753	eV/atom
V	20.13	Å³/atom
Fermi-level density of states	54.45	states/eV/cell

***

6.
Material: Nd3PuNi8
Method: DFT, PBE
State: optimized geometry

a b c (Å): 5.1454 5.1454 25.2104
angles (deg): 90.00 90.00 120.00
Closest atoms and distances in Å follow each position.
Space group R3m (No. 160, hexagonal axes)
Symmetry-distinct sites (fractional):
1 Nd 0.0000 0.0000 0.0000 x3  12 Ni 2.96-3.04, 3 Pu 3.13, 1 Nd 3.18
2 Nd 0.0000 0.0000 0.1261 x3  12 Ni 3.01-3.05, 4 Nd 3.18
3 Nd 0.0000 0.0000 0.5047 x3  12 Ni 2.99-3.09, 1 Pu 3.11, 3 Nd 3.18
4 Pu 0.0000 0.0000 0.6281 x3  12 Ni 2.98-3.02, 4 Nd 3.11-3.13
5 Ni 0.0000 0.0000 0.3141 x3  6 Ni 2.54-2.58
6 Ni 0.0000 0.0000 0.8146 x3  6 Ni 2.58-2.59
7 Ni 0.1673 0.3346 0.3975 x9  6 Ni 2.56-2.58
8 Ni 0.1678 0.3356 0.8986 x9  6 Ni 2.54-2.59

Results
total magnetic moment	15.739	Bohr magnetons per cell
E_form	-283	meV/atom
>>>

### Result
2 Pu 0.0000 0.0000 0.4108 x6  1 Pu 2.25
3 Ni 0.0000 0.3140 0.5000 x18  8 Ni 2.50-2.67
4 Ni 0.0000 0.5000 0.0000 x9  8 Ni 2.46-2.50, 2 Pu 2.65
5 Ni 0.0007 0.5004 0.6590 x18  8 Ni 2.46-2.58, 1 Pu 2.69

Results
total magnetic moment	9.317	Bohr magnetons per cell
E_form	-151	meV/atom
total energy	-6.726	eV/atom
V	13.91	Å³/atom
Fermi-level density of states	104.62	states/eV/cell

***

4.
Material: NdPuNi
Method: DFT, PBE
State: optimized geometry

a b c (Å): 4.9727 11.7477 4.9394
angles (deg): 90.00 90.00 90.00
Closest atoms and distances in Å follow each position.
Space group Amm2 (No. 38)
Symmetry-distinct sites (fractional):
1 Nd 0.0000 0.1393 0.0000 x4  4 Ni 2.95-2.98, 1 Nd 3.27
2 Pu 0.5000 0.1318 0.5055 x4  4 Ni 2.89-2.94, 1 Pu 3.10
3 Ni 0.0000 0.0000 0.4964 x2  4 Pu 2.93, 4 Nd 2.95-2.98
4 Ni 0.5000 0.0000 0.0112 x2  4 Pu 2.89-2.94, 4 Nd 2.98

Results
offset from the most stable computed form	0.0	meV per atom
total magnetic moment	24.258	Bohr magnetons per cell
E_form	-9	meV/atom
total energy	-8.303	eV/atom
V	24.05	Å³/atom
Fermi-level density of states	34.09	states/eV/cell

***

5.
Material: NdPuNi2
Method: DFT, PBE
State: optimized geometry

a b c (Å): 6.8548 6.8548 6.8548
angles (deg): 90.00 90.00 90.00
Closest atoms and distances in Å follow each position.
Space group Fm-3m (No. 225)
Symmetry-distinct sites (fractional):
1 Nd 0.0000 0.0000 0.0000 x4  8 Ni 2.97
2 Pu 0.0000 0.0000 0.5000 x4  8 Ni 2.97
3 Ni 0.2500 0.2500 0.2500 x8  4 Nd 2.97, 4 Pu 2.97

Results
total magnetic moment	22.307	Bohr magnetons per cell
E_form	-88	meV/atom
total energy	-7.753	eV/atom
V	20.13	Å³/atom
Fermi-level density of states	54.45	states/eV/cell

***

6.
Material: Nd3PuNi8
Method: DFT, PBE
State: optimized geometry

a b c (Å): 5.1454 5.1454 25.2104
angles (deg): 90.00 90.00 120.00
Closest atoms and distances in Å follow each position.
Space group R3m (No. 160, hexagonal axes)
Symmetry-distinct sites (fractional):
1 Nd 0.0000 0.0000 0.0000 x3  12 Ni 2.96-3.04, 3 Pu 3.13, 1 Nd 3.18
2 Nd 0.0000 0.0000 0.1261 x3  12 Ni 3.01-3.05, 4 Nd 3.18
3 Nd 0.0000 0.0000 0.5047 x3  12 Ni 2.99-3.09, 1 Pu 3.11, 3 Nd 3.18
4 Pu 0.0000 0.0000 0.6281 x3  12 Ni 2.98-3.02, 4 Nd 3.11-3.13
5 Ni 0.0000 0.0000 0.3141 x3  6 Ni 2.54-2.58
6 Ni 0.0000 0.0000 0.8146 x3  6 Ni 2.58-2.59
7 Ni 0.1673 0.3346 0.3975 x9  6 Ni 2.56-2.58
8 Ni 0.1678 0.3356 0.8986 x9  6 Ni 2.54-2.59

Results
total magnetic moment	15.739	Bohr magnetons per cell
E_form	-283	meV/atom